Over two-thirds of Americans believe they pay too much for the quality of health care they receive, according to a 2021 West Health-Gallup Poll. Almost half of Americans feel even worse about the U.S. health care system as a result of the COVID-19 pandemic. Almost one-third of Americans said they avoided seeking treatment within the past three months due to the high cost of health care.
Clearly, the American health care system isn't working in a way that helps people. Here are four signs that something needs to change.
Americans spend the most on health care
Americans spend more on health care than any other people — about one-sixth of our nation’s GDP. According to Thomas Rice, Ph.D., at UCLA’s Fielding School of Public Health, our health care expenses are double that of other wealthy nations, like Germany, Japan and the U.K.
“We spend over $4 trillion in the United States each year on health care. It's a large chunk of the entire world spending on health care, around 40%. But if you look at it per person, we spend about $12,500 per person per year on health care," he told NBCLX.
That breaks down to 1 cent per person every half hour spent on health care.
[These records of crystals were left in the entry by mistake]
~~~
1.
Material: BaGaNiPd
Method: DFT, GGA-PBE
State: optimized geometry

It has space group R3m (No. 160, hexagonal axes), with a = 4.3544 Å, b = 4.3544 Å, c = 16.7194 Å, α = 90.00°, β = 90.00° and γ = 120.00°. The inequivalent atoms are Ba at (0.0000, 0.0000, 0.0000), Ga at (0.0000, 0.0000, 0.4962), Ni at (0.0000, 0.0000, 0.8112) and Pd at (0.0000, 0.0000, 0.1938).

Its raw total energy is -4.40 eV/atom.



2.
Material: PuGeSb
Method: DFT, GGA-PBE
State: optimized geometry

It has space group F-43m (No. 216), with a = 6.832 Å, b = 6.832 Å, c = 6.832 Å, α = 90.00°, β = 90.00° and γ = 90.00°. The inequivalent atoms are Pu at (0.000, 0.000, 0.000), Ge at (0.250, 0.250, 0.750) and Sb at (0.250, 0.250, 0.250).

Its raw total energy is -7.71 eV/atom.



3.
Material: ScNiBAu
Method: DFT, GGA-PBE
State: optimized geometry

It has space group F-43m (No. 216), with a = 6.011 Å, b = 6.011 Å, c = 6.011 Å, α = 90.00°, β = 90.00° and γ = 90.00°. The inequivalent atoms are Sc at (0.000, 0.000, 0.000), Ni at (0.250, 0.250, 0.250), B at (0.250, 0.250, 0.750) and Au at (0.000, 0.000, 0.500).

Its raw total energy is -5.41 eV/atom.



4.
Material: Dy4Er3Te2Ir2
Method: DFT, GGA-PBE
State: optimized geometry

It has space group Imm2 (No. 44), with a = 3.926 Å, b = 15.696 Å, c = 9.456 Å, α = 90.00°, β = 90.00° and γ = 90.00°. The inequivalent atoms are Dy at (0.000, 0.132, 0.000), Dy at (0.000, 0.316, 0.790), Er at (0.000, 0.000, 0.418), Er at (0.000, 0.354, 0.149), Te at (0.000, 0.000, 0.754), Te at (0.000, 0.500, 0.654) and Ir at (0.000, 0.238, 0.490).

Its raw total energy is -6.01 eV/atom.



5.
Material: ZrScIn2
Method: DFT, GGA-PBE
State: optimized geometry

It has space group Cmcm (No. 63), with a = 6.412 Å, b = 10.633 Å, c = 5.230 Å, α = 90.00°, β = 90.00° and γ = 90.00°. The inequivalent atoms are Zr at (0.000, 0.153, 0.250), Sc at (0.000, 0.342, 0.750) and In at (0.247, 0.404, 0.250).

Its raw total energy is -5.38 eV/atom.



6.
Material: HoGeTe3Au
Method: DFT, GGA-PBE
State: optimized geometry

It has space group P2_1/m (No. 11), with a = 8.437 Å, b = 4.293 Å, c = 10.372 Å, α = 90.00°, β = 107.28° and γ = 90.00°. The inequivalent atoms are Ho at (0.219, 0.250, 0.184), Ge at (0.146, 0.750, 0.701), Te at (0.076, 0.250, 0.869), Te at (0.186, 0.250, 0.481), Te at (0.467, 0.750, 0.185) and Au at (0.359, 0.750, 0.408).

Its raw total energy is -4.21 eV/atom.
~~~
[The entry goes on]
Americans are less healthy
Americans are less healthy and live shorter lives on average than people in other wealthy countries despite paying so much more. That said, longevity isn’t the best measure of a health system’s effectiveness (lifestyle choices also play a part in our health), so Rice pointed to a metric called mortality amenable to health care. It tracks how many in a population die from causes that should be preventable with easy access to good health care, such as sepsis, infections, some heart diseases and some cancers.
• Records of crystals, kept here for reference:
-- begin --
Material: Lu3HgC
Method: DFT, PBE
State: relaxed

a = 4.771 Å, b = 4.771 Å, c = 4.771 Å
α = 90.00°, β = 90.00°, γ = 90.00°
Space group Pm-3m (No. 221)
One atom of each set of equivalent atoms:
Lu1 0.000 0.000 0.500 (multiplicity 3)
Hg1 0.500 0.500 0.500 (multiplicity 1)
C1 0.000 0.000 0.000 (multiplicity 1)

Output
DFT formation energy: -2.2 eV per formula unit
Calculated total energy: -5.065 eV per atom
Calculated volume: 21.72 Å³ per atom
Mass density: 11.28 g/cm3

=====

Record 1
Below is NaCd2Pb after structural relaxation, with properties calculated at the PBE level.

```
NaCd2Pb
1.0
4.615 0.000 0.000
0.000 4.701 0.000
0.000 0.000 4.701
Pb Na Cd
1 1 2
Cartesian
2.307 2.350 2.350
2.307 0.000 0.000
0.000 0.000 2.350
0.000 2.350 0.000
```

* DFT formation energy: -0.0631 eV/atom
* symmetry: No. 123

---

Record 2
Below is RbLaMg6 after structural relaxation, with properties calculated at the PBE level.

```
RbLaMg6
1.0
-4.409 -5.899 -0.939
4.185 0.042 6.132
-3.711 2.373 2.517
Rb La Mg
1 1 6
Cartesian
-3.784 -2.998 2.360
1.320 0.530 6.559
-1.200 -0.110 3.446
-1.287 -2.374 5.454
-0.544 -2.072 1.151
-0.635 -4.446 3.256
1.527 -1.796 3.945
-3.713 -5.417 -0.366
```

* DFT formation energy: 0.1756 eV/atom
* symmetry: No. 38

---

Record 3
Below is LiLaTb2Tl4 after structural relaxation, with properties calculated at the PBE level.

```
LiLaTb2Tl4
1.0
5.304 0.000 0.000
2.652 4.593 0.000
2.652 1.531 9.095
Li La Tb Tl
1 1 2 4
Cartesian
5.304 3.062 4.547
0.000 0.000 0.000
7.956 4.593 6.657
2.652 1.531 2.437
5.304 3.062 7.814
7.956 4.593 3.502
2.652 1.531 5.593
5.304 3.062 1.280
```

* DFT formation energy: -0.3385 eV/atom
* symmetry: No. 166

---

Record 4
Below is CaGa2NiRu after structural relaxation, with properties calculated at the PBE level.

```
CaGa2NiRu
1.0
4.203 0.000 0.000
0.000 4.203 0.000
-2.101 -2.101 5.084
Ca Ga Ni Ru
1 2 1 1
Cartesian
0.000 0.000 0.000
2.101 2.101 1.326
0.000 0.000 3.759
0.000 2.101 2.542
2.101 0.000 2.542
```

* DFT formation energy: -0.3954 eV/atom
* symmetry: No. 119

---

Record 5
Below is LaGa3Ir after structural relaxation, with properties calculated at the PBE level.

```
LaGa3Ir
1.0
5.513 0.000 0.000
0.000 5.513 0.000
0.000 0.000 5.513
Ir Ga La
1 3 1
Cartesian
2.756 2.756 2.756
0.000 2.756 0.000
0.000 0.000 2.756
2.756 0.000 0.000
0.000 0.000 0.000
```

* DFT formation energy: 1.6845 eV/atom
* symmetry: No. 221

---

Record 6
Below is AlAg7Se6 after structural relaxation, with properties calculated at the PBE level.

```
AlAg7Se6
1.0
6.855 0.000 2.572
3.475 9.422 1.159
0.121 -0.497 10.097
Al Ag Se
2 14 12
Cartesian
6.040 2.231 4.743
4.411 6.694 9.085
4.956 -0.318 11.727
5.495 9.243 2.101
7.367 4.642 7.533
3.085 4.284 6.295
5.506 5.276 4.003
5.691 1.610 7.840
7.936 2.356 12.277
8.626 8.609 6.108
4.946 3.650 9.825
4.761 7.315 5.987
2.516 6.570 1.551
1.826 0.316 7.720
2.613 2.231 3.457
7.839 6.694 10.371
5.169 2.710 2.528
0.534 0.447 3.115
7.677 4.016 4.919
3.927 1.753 5.838
5.283 6.215 11.300
9.918 8.479 10.712
-- stop --
“Mortality amenable to health care ... looks at ... if the healthcare system is doing a good job, and what we see is the United States is among the worst ... at keeping people alive from things that they shouldn't be dying from," he explained.
How prices are negotiated
There’s no public option in American health care. Right now, prices are negotiated between providers and insurance companies. A public option would allow the federal government to offer an insurance plan — likely at a much lower price — while still allowing private insurers to offer their plans.
“We're not getting rid of private insurers. We're just letting them compete against a government plan," Rice said. "President Biden during [his] campaign said he wanted a public option. It's never been on the radar screen since he's become president, and the reason is that there would be so much opposition among insurers, among hospital organizations, among physicians, among pharmaceutical companies that it's almost not worthwhile bringing it up."
Poor management of our health care system
The big difference between our system and others is management. In most countries, a public nonprofit organization plays the middleman, managing the health care system and pricing. In the US, private, for-profit corporations play the middleman.
“I think the reason we're paying too much for health care is that we don't have a unified system that can work together to try to lower the prices ... [like] in other countries," Rice said.